Set down everything further below with every line break kept.
+++
# C8H4Cl6O9P2Ti

A molecular structure, C8H4Cl6O9P2Ti in a non-equilibrium geometry (wB97M-V/def2-TZVPD, OMol25).

Structure (XYZ):
```
30
C8H4Cl6O9P2Ti (wB97M-V/def2-TZVPD)
Ti -0.14475 -0.64977 0.08027
Cl 0.80000 1.81318 -2.25749
C -0.18526 2.39295 -0.95346
C -0.62652 1.47849 -0.00995
C -1.40195 1.98707 1.01300
Cl -1.93193 0.84980 2.22367
C -1.74830 3.32759 1.12754
Cl -2.71898 3.89331 2.43879
C -1.29567 4.21539 0.15569
Cl -1.70788 5.89009 0.25431
C -0.50705 3.74659 -0.89506
Cl 0.05716 4.84866 -2.09765
O 3.83832 -0.23251 1.99045
P 2.67863 -1.08452 1.29863
O 1.65928 -0.07357 0.77339
O 3.22328 -2.11790 0.39344
O 1.97374 -1.79649 2.56644
P 0.69936 -2.80388 2.33971
O 1.31786 -3.91274 1.39249
O 0.21096 -3.34661 3.60171
O -0.27818 -1.92981 1.50364
H 4.65380 -0.74323 1.94546
H 1.99464 -3.53020 0.79305
Cl -2.48834 -3.96739 -4.56538
C -1.60824 -1.46197 -3.20920
C -1.16402 -1.35726 -1.97032
O -1.87706 -1.03519 -0.89502
O 0.15224 -1.45476 -1.61148
H -2.65242 -1.29614 -3.40994
H -0.92272 -1.64917 -4.01672
```

spin multiplicity = 1
E_LUMO = 0.133 hartree
net charge = -2


# C4H13N2O

2 unconnected molecules or ions with the total composition C4H13N2O (wB97M-V/def2-TZVPD, OMol25).

Structure (XYZ):
```
20
C4H13N2O (wB97M-V/def2-TZVPD)
C 2.21176 0.09136 0.41600
O 1.80851 -1.29396 0.40440
C 1.08236 1.00036 -0.04673
N 1.38778 2.40624 0.26414
H 2.39006 0.38961 1.44938
H 3.09756 0.19339 -0.20429
H 2.37339 -1.70174 1.06348
H 0.91938 0.82027 -1.12291
H 0.18700 0.74341 0.52444
H 0.51771 2.92543 0.26595
H 1.87956 2.79269 -0.53859
C -2.91354 -0.59391 0.20423
C -0.93899 -1.63956 -0.76021
N -1.72439 -0.64206 -0.63745
H -3.77286 -0.22933 -0.35692
H -2.75890 0.12511 1.00440
H -3.13264 -1.57595 0.60623
H -1.32096 -2.60912 -0.46934
H 0.07605 -1.44952 -1.09218
H -1.36883 0.24728 -0.97404
```

spin multiplicity = 1
E_LUMO = -0.180 hartree
net charge = +1


The calculation returns the following Kohn-Sham gap values, one per record and in order: 4.9 8.3 eV.
The calculation returns the following relative energy (zero: lowest compared OMol25 entry of this formula, charge and spin) values, one per record and in order: 2.183 2.943 eV.

=====

No. 1
Entry from the OMol25 dataset: C35H43IN5PPt as an isolated structure at a distorted geometry (ωB97M-V with the def2-TZVPD basis set).

## Properties
- Charge: +2
- Gap between HOMO and LUMO (alpha / beta): 5.668 / 5.667 eV
- HOMO level (alpha / beta): -13.018 / -13.016 eV
- Molar mass: 886.72 g/mol
- DFT total energy: -2391.17580 Ha
- ΔE to the lowest compared entry with this formula, charge and spin: 56.0 kcal per mole
- Lowest unoccupied orbital energy (alpha / beta): -7.4 / -7.3 eV
- 2S+1: 1

CARTESIAN COORDINATES (ANGSTROEM)
1 C -1.892 5.644 -1.560
2 H 3.434 0.917 4.186
3 C -1.407 2.002 3.196
4 C 1.275 2.140 -3.337
5 H -3.388 -2.757 -4.557
6 C -1.062 -2.959 0.966
7 H -3.020 -0.606 2.016
8 C 2.897 0.176 -0.938
9 C -2.907 -1.490 1.381
10 C 0.899 -4.361 0.393
11 C 1.555 3.329 -4.011
12 C 2.243 -1.231 -2.786
13 Pt -0.294 0.073 0.678
14 C 0.109 -5.512 0.997
15 C -1.000 -1.938 -2.327
16 I -2.636 1.550 -0.408
17 C 3.547 -1.688 -2.882
18 C 0.293 2.049 -2.367
19 H -3.395 -1.279 0.418
20 C -0.157 4.423 -2.711
21 H 1.925 -4.357 0.766
22 C -1.353 -5.354 0.609
23 C -0.066 2.477 2.635
24 H 2.628 0.907 -0.180
25 H -2.415 6.559 -1.335
26 H -0.030 3.566 2.618
27 H 4.960 0.093 -0.379
28 H -3.637 -4.821 1.708
29 H -4.654 -2.522 2.103
30 C -2.326 4.440 -0.995
31 H 1.104 5.407 -4.137
32 H -1.488 0.916 3.139
33 H -1.505 2.300 4.238
34 C -1.673 -0.005 -3.603
35 H -3.184 -2.826 3.047
36 H 2.209 0.281 5.282
37 H 0.207 -5.499 2.083
38 C -3.284 -3.922 1.197
39 H -0.362 -2.368 -1.570
40 H 1.358 -1.023 2.543
41 H -3.157 -0.363 -5.097
42 N -1.851 -4.047 1.000
43 H 3.516 3.168 3.259
44 H 3.125 4.540 4.297
45 H -2.229 2.446 2.641
46 C -0.878 -0.578 -2.615
47 C 1.914 -0.290 -1.814
48 C -2.562 -0.797 -4.309
49 C 1.642 2.972 4.336
50 C -1.660 3.264 -1.242
51 C -0.516 3.189 -2.070
52 H 2.314 3.344 -4.775
53 C 2.559 0.277 4.251
54 C 2.708 3.799 3.620
+++
# C8H4Cl6O9P2Ti

A molecular structure, C8H4Cl6O9P2Ti in a non-equilibrium geometry (wB97M-V/def2-TZVPD, OMol25).

Structure (XYZ):
```
30
C8H4Cl6O9P2Ti (wB97M-V/def2-TZVPD)
Ti -0.14475 -0.64977 0.08027
Cl 0.80000 1.81318 -2.25749
C -0.18526 2.39295 -0.95346
C -0.62652 1.47849 -0.00995
C -1.40195 1.98707 1.01300
Cl -1.93193 0.84980 2.22367
C -1.74830 3.32759 1.12754
Cl -2.71898 3.89331 2.43879
C -1.29567 4.21539 0.15569
Cl -1.70788 5.89009 0.25431
C -0.50705 3.74659 -0.89506
Cl 0.05716 4.84866 -2.09765
O 3.83832 -0.23251 1.99045
P 2.67863 -1.08452 1.29863
O 1.65928 -0.07357 0.77339
O 3.22328 -2.11790 0.39344
O 1.97374 -1.79649 2.56644
P 0.69936 -2.80388 2.33971
O 1.31786 -3.91274 1.39249
O 0.21096 -3.34661 3.60171
O -0.27818 -1.92981 1.50364
H 4.65380 -0.74323 1.94546
H 1.99464 -3.53020 0.79305
Cl -2.48834 -3.96739 -4.56538
C -1.60824 -1.46197 -3.20920
C -1.16402 -1.35726 -1.97032
O -1.87706 -1.03519 -0.89502
O 0.15224 -1.45476 -1.61148
H -2.65242 -1.29614 -3.40994
H -0.92272 -1.64917 -4.01672
```

spin multiplicity = 1
E_LUMO = 0.133 hartree
net charge = -2


# C4H13N2O

2 unconnected molecules or ions with the total composition C4H13N2O (wB97M-V/def2-TZVPD, OMol25).

Structure (XYZ):
```
20
C4H13N2O (wB97M-V/def2-TZVPD)
C 2.21176 0.09136 0.41600
O 1.80851 -1.29396 0.40440
C 1.08236 1.00036 -0.04673
N 1.38778 2.40624 0.26414
H 2.39006 0.38961 1.44938
H 3.09756 0.19339 -0.20429
H 2.37339 -1.70174 1.06348
H 0.91938 0.82027 -1.12291
H 0.18700 0.74341 0.52444
H 0.51771 2.92543 0.26595
H 1.87956 2.79269 -0.53859
C -2.91354 -0.59391 0.20423
C -0.93899 -1.63956 -0.76021
N -1.72439 -0.64206 -0.63745
H -3.77286 -0.22933 -0.35692
H -2.75890 0.12511 1.00440
H -3.13264 -1.57595 0.60623
H -1.32096 -2.60912 -0.46934
H 0.07605 -1.44952 -1.09218
H -1.36883 0.24728 -0.97404
```

spin multiplicity = 1
E_LUMO = -0.180 hartree
net charge = +1


The calculation returns the following Kohn-Sham gap values, one per record and in order: 4.9 8.3 eV.
The calculation returns the following relative energy (zero: lowest compared OMol25 entry of this formula, charge and spin) values, one per record and in order: 2.183 2.943 eV.

=====

No. 1
Entry from the OMol25 dataset: C35H43IN5PPt as an isolated structure at a distorted geometry (ωB97M-V with the def2-TZVPD basis set).

## Properties
- Charge: +2
- Gap between HOMO and LUMO (alpha / beta): 5.668 / 5.667 eV
- HOMO level (alpha / beta): -13.018 / -13.016 eV
- Molar mass: 886.72 g/mol
- DFT total energy: -2391.17580 Ha
- ΔE to the lowest compared entry with this formula, charge and spin: 56.0 kcal per mole
- Lowest unoccupied orbital energy (alpha / beta): -7.4 / -7.3 eV
- 2S+1: 1

CARTESIAN COORDINATES (ANGSTROEM)
1 C -1.892 5.644 -1.560
2 H 3.434 0.917 4.186
3 C -1.407 2.002 3.196
4 C 1.275 2.140 -3.337
5 H -3.388 -2.757 -4.557
6 C -1.062 -2.959 0.966
7 H -3.020 -0.606 2.016
8 C 2.897 0.176 -0.938
9 C -2.907 -1.490 1.381
10 C 0.899 -4.361 0.393
11 C 1.555 3.329 -4.011
12 C 2.243 -1.231 -2.786
13 Pt -0.294 0.073 0.678
14 C 0.109 -5.512 0.997
15 C -1.000 -1.938 -2.327
16 I -2.636 1.550 -0.408
17 C 3.547 -1.688 -2.882
18 C 0.293 2.049 -2.367
19 H -3.395 -1.279 0.418
20 C -0.157 4.423 -2.711
21 H 1.925 -4.357 0.766
22 C -1.353 -5.354 0.609
23 C -0.066 2.477 2.635
24 H 2.628 0.907 -0.180
25 H -2.415 6.559 -1.335
26 H -0.030 3.566 2.618
27 H 4.960 0.093 -0.379
28 H -3.637 -4.821 1.708
29 H -4.654 -2.522 2.103
30 C -2.326 4.440 -0.995
31 H 1.104 5.407 -4.137
32 H -1.488 0.916 3.139
33 H -1.505 2.300 4.238
34 C -1.673 -0.005 -3.603
35 H -3.184 -2.826 3.047
36 H 2.209 0.281 5.282
37 H 0.207 -5.499 2.083
38 C -3.284 -3.922 1.197
39 H -0.362 -2.368 -1.570
40 H 1.358 -1.023 2.543
41 H -3.157 -0.363 -5.097
42 N -1.851 -4.047 1.000
43 H 3.516 3.168 3.259
44 H 3.125 4.540 4.297
45 H -2.229 2.446 2.641
46 C -0.878 -0.578 -2.615
47 C 1.914 -0.290 -1.814
48 C -2.562 -0.797 -4.309
49 C 1.642 2.972 4.336
50 C -1.660 3.264 -1.242
51 C -0.516 3.189 -2.070
52 H 2.314 3.344 -4.775
53 C 2.559 0.277 4.251
54 C 2.708 3.799 3.620